Logic’s Erroneous Backside

If you have ever wondered why the word “logic” is regarded as a positive element in our lives, know that the words good, rational, reasonable, sensible, sound, and valid mean the same thing.

In all of these columns, logic is portrayed as being a handy and useful tool in coping with life’s difficulties, a way to clear up confusing elements so a simpler answer can be applied to the question.

The problem lies in our tendency to misinterpret the word when it’s used in a certain situation. One of the best ways to understand that is to look at what … Read the rest “Logic’s Erroneous Backside”

Life’s Three Big A’s

The first one is anticipating, because you will never have what you don’t strive for. The second is applying because you will never know what you can do unless you do it.  And the third one is the afterglow of a good life you won’t have if you haven’t lived it.

Yes, you think that’s too much to wrap your arms around, is much too simple to be believed, comes too late to make a difference. Logic, however, has no boundaries, and is so flexible and adaptable it can be applied no matter who or where you are, or … Read the rest “Life’s Three Big A’s”

It’s Over Miami And Everywhere Else

The world often demands far too much of us. We feel as if we are spread-eagled on the bottom of an overturned life raft, hanging on for dear life against howling winds and turbulent seas. We keep looking for anything to logically ease the threat or pave the way for rescue.

Well, one need not look any farther than skyward and toward the moon. When spiced with only a small bit of imagination, it’s ready to sooth the soul, help verify a decision or even help one forget they had one to make.

Among those who have already figured that … Read the rest “It’s Over Miami And Everywhere Else”

One Logical And Powerful Word

Of all the wonders of life, few can top the stories every human being can tell about what has happened to them.

And so it was during a recent morning walk that I met a man who was putting the final touches on his new self-designed street-side mailbox. After I told him how good it looked, he introduced himself as John, and we drifted into the subject of our respective pasts that brought us both into the latter stages of a good life. That’s when he told me a story.

He was born, raised, and educated in Chicago. His first … Read the rest “One Logical And Powerful Word”

When More Of Everything Means Less Of Anything

A sing-song play on words? No, it’s the more serious matter of us being close to having exhausted all the logical superlatives in describing an object, happening, or situation.

The trend never had an identifiable beginning. It just sort of happened. Still, you might remember when such words as “nice,” “wonderful,” and “terrific” did most of the heavy lifting.

Then along came “super” and “shocking” plus such compound descriptors as “jaw-dropping” that reference the human body, and “earth shaking” and “out of this world” that suggest far larger dimensions.

More recently, however, we began reaching even higher to include such … Read the rest “When More Of Everything Means Less Of Anything”

Searching For Perfect

Having already brought the iced tea, she was now ready to take my order — the cheeseburger special with fries and slaw on the side. I said it right and she wrote it down right. “Perfect,” she said with a smile, then she was gone.

What went on between her and me was, indeed, perfect. Beyond that, however, was another story. The place was packed so we were lucky to get the high table with the potentially dangerous high stools. After all, an extra powerful sneeze, a reach too far for a lost napkin, or simply attempting to maintain balance … Read the rest “Searching For Perfect”

The Magic Of Winter Light

There was no refusing my friend’s invitation. 

He and his wife were about to take their brand new to them 38-foot motor yacht from their home on the Tennessee River in northwest Alabama to a boat repair facility in St. Petersburg, Florida, a run of about seven hundred miles. 

The boat was in excellent condition, but because it had logged only a few miles during the previous two years, it would also be a shakedown cruise. That was part of the main reason he wanted me, an experienced boater, to come along as an extra hand. I had cruised that … Read the rest “The Magic Of Winter Light”

Be A Lover Of Life

She was a follower on Twitter, but as so often happened, she was nobody I knew. So I did some checking and it revealed that her name was Andrea and that she was living on a farm in Alberta, Canada.

In a quick scan of her bio, my eyes locked on these words: “Making mediocrity fabulous one day at a time.” Those words weren’t the ordinary kind that merely talked. They yelled, almost screamed: “Look at us real close. We are expressing something profound, a great thought to live by, an even greater one to wake up to every morning.”… Read the rest “Be A Lover Of Life”

This Is About You And Me

**What comes next are molecular data, not part of the entry**
-- begin --
## one
Formula: C39H52O39
Source: the Open Molecules 2025 dataset
Level of theory: ωB97M-V/def2-TZVPD

```
130
Properties=species:S:1:pos:R:3
H -1.3574 -0.1436 -2.2211
H 2.7624 7.7726 -0.6946
O -2.3739 -9.7644 2.1056
O 3.0217 -2.8397 6.4924
H -1.4779 4.8930 6.0634
C 4.1085 6.8586 0.8412
H 6.1830 -8.3799 -2.1765
C 6.5493 -8.4406 0.8293
O 2.6731 3.8517 -8.1997
H -7.3731 -5.8098 -5.8952
C 2.7324 7.2219 0.2456
C -0.8041 3.7620 7.9054
C 1.6860 -3.6455 -7.5782
C -1.2300 -9.1881 2.3618
H 6.4827 2.4502 4.8349
H 2.9282 -3.8567 -9.4259
C -0.3960 0.0428 -1.7425
O 5.6922 3.2824 8.7245
C 3.7746 3.3781 -7.7342
O -7.4080 8.2450 3.0317
C 3.1753 8.5124 2.0735
C -0.8339 4.9720 6.9392
O -0.6735 -9.9289 3.3546
H -5.8496 -0.9044 1.9721
H 7.7062 -7.5035 -1.6970
H -5.9628 -5.1489 -6.5209
O -7.8651 0.3425 3.3174
H 7.4386 3.9909 5.0277
C -3.2199 5.7529 -5.4352
H 8.8774 3.0688 6.5307
O -5.6519 7.1625 1.9137
O -5.8271 9.4118 1.8771
H -2.9271 3.6953 -7.3181
H 2.3506 3.5058 -10.1799
O 2.2055 7.9487 1.3728
H -3.9452 9.4904 1.2027
C 3.9001 -3.7774 5.9312
C -6.3657 8.2629 2.3547
O -0.5077 0.9961 -0.7083
H -8.1080 -1.0669 1.8862
O 0.9028 -0.5046 0.0485
H -5.1340 9.5212 -0.0762
H 4.8370 -7.0962 -1.0868
H 0.9020 -2.9786 -7.9369
C 6.7753 -7.9615 -1.3627
H 4.0740 5.8860 1.3323
O -4.3953 5.8871 -6.0982
H 0.3354 0.3721 -2.4806
H 3.5807 -5.4962 7.3769
C 1.6625 -5.7867 -7.0509
O 2.9970 9.2929 2.9680
C 0.1076 -1.1172 -0.9021
H 4.4568 4.1362 -10.7154
C 6.9498 3.1530 5.5248
H -2.6694 -11.7883 2.2677
H 2.1467 6.3423 -0.0216
H 3.9534 -3.6704 4.8478
C -2.7349 -10.8844 2.8733
O 6.0315 -7.2827 0.6533
O -5.9031 -3.8414 -3.7879
O 1.9439 -4.7289 6.5077
C 0.3747 0.7481 0.2331
C -6.2025 -1.2101 2.9570
H -8.1720 -1.6675 3.6068
O -6.7674 1.5683 4.9956
C -1.1737 5.6020 9.0653
O 7.3202 2.1219 7.5304
H -3.7158 -10.8401 3.3467
H -2.0317 -10.2621 4.7490
H -1.1453 -11.7368 4.1527
C 5.8583 -6.9609 -0.7308
O 1.6753 -6.8311 -6.4557
H -5.6538 4.3223 -5.9387
H -5.9557 -2.2685 3.0413
C 3.2799 -5.1481 6.3887
O -1.3863 6.3562 9.9510
C -6.7904 -3.1533 -4.4306
O 4.3473 7.8869 1.8246
O -2.7048 6.7466 -4.8630
O 4.0610 2.7965 -6.6318
C 8.0320 2.4279 6.2807
H 2.2372 5.1725 -9.6114
H -5.0688 4.6523 -7.5808
H -5.4802 7.3069 -0.1671
H 1.3665 -4.6952 -9.4427
H -3.8112 2.7102 -6.0848
O 6.6954 -8.9461 1.9204
C 2.8282 4.2586 -9.5527
C 4.2429 4.4366 -9.6896
C -5.8246 -5.1818 -4.3661
H 2.5430 -3.2091 -7.0651
O 0.8041 1.5659 1.0281
O -7.1297 -2.0040 -4.1873
H -3.9637 7.1105 0.6762
C 2.2048 -4.3954 -8.8138
H 4.8737 6.9404 0.0693
O 4.7010 3.5781 -8.6840
O -7.2792 -3.8417 -5.4911
C -6.8316 0.6383 4.1763
H 4.9054 -3.6963 6.3445
H -0.6278 -1.7965 -0.4709
H -6.2700 -5.9359 -3.7171
C 6.2646 3.0364 7.6934
C -1.6379 -10.8013 3.8874
H 0.0190 3.0506 7.8387
O 0.8195 -2.9769 7.3193
C -4.8967 9.0644 0.8846
H 0.1569 5.3709 6.7214
H 0.7411 -1.6898 -1.5794
C -4.7864 4.6183 -6.5286
O 6.9434 -8.9291 -0.3007
O -2.7345 4.4562 -5.4973
H 6.0739 -5.9102 -0.9252
O -1.3507 5.9259 7.7757
O -5.7939 -0.3130 4.0015
O 1.0879 -4.6455 -6.7737
-- stop --

Now that I’m well into my fourth year of writing these columns, I should already have shared with you the information that appears here. So I’m doing it now as if you and I were visiting and I was answering your questions.

Why did you decide to write this column?

Most book authors have a website for promoting their books and some write a blog for that site. I wanted to do the same except instead of a blog which usually concerns recent personal happenings, I decided to write a column of possible help to readers.

How did you come Read the rest “This Is About You And Me”

Then There Were Warren And Jimmy

It wasn’t unexpected that in the recent passing of Jimmy Buffet, many would wonder if he and Warren Buffet were related. Well, to answer that question, they weren’t. They did, however, meet and become good friends.

I took that even farther by wondering what Warren, the quiet and highly disciplined investor, might have in common with Jimmy, the always buoyant and outgoing entertainer.

That led to me imagining what it might have been like for these two highly-successful men to get together in a quiet place, maybe sitting on the porch of a farmhouse atop a high hill from which … Read the rest “Then There Were Warren And Jimmy”